**Brief**
Restate everything below without altering anything, please.
**Contents**
/*
First-principles (PBE) data for MgZrTc2 after structural relaxation, as listed in Alexandria.

* crystal system: monoclinic
* formation energy from the elements: 0.103 eV/atom
* SG: P2/m
* N(E_F): 3.27 states/eV per cell

Lattice parameters (Å, degrees): 4.4653 2.7790 5.5397 81.18 90.00 90.00
With the nearest neighbours (Å) after each atom.
Sites, in units of the cell vectors:
Mg 0.5000 0.7500 0.7500  4 Tc 2.76, 2 Mg 2.78, 2 Zr 2.90
Tc 0.0000 0.0346 0.9850  3 Tc 2.69-2.78, 2 Mg 2.76, 2 Zr 2.79
Tc 0.0000 0.4654 0.5150  3 Tc 2.69-2.78, 2 Mg 2.76, 2 Zr 2.79
Zr 0.5000 0.2500 0.2500  2 Zr 2.78, 4 Tc 2.79, 2 Mg 2.90

First-principles (PBE) data for SrSc2Mn after structural relaxation, as listed in Alexandria.

* crystal system: cubic
* formation energy from the elements: 0.597 eV/atom
* SG: Fd-3m
* N(E_F): 6.09 states/eV per cell

Lattice parameters (Å, degrees): 7.1626 7.1626 7.1668 60.02 60.02 90.00
With the nearest neighbours (Å) after each atom.
Sites, in units of the cell vectors:
Sc 0.3750 0.1250 0.2500  2 Mn 2.19
Sc 0.3750 0.6250 0.2500  2 Mn 2.19
Sc 0.3750 0.6250 0.7500  2 Mn 2.19
Sc 0.8750 0.6250 0.7500  2 Mn 2.19
Sr 0.0000 0.0000 0.0000  12 Sc 4.20, 4 Mn 4.39, 4 Sr 4.39
Sr 0.7500 0.2500 0.5000  12 Sc 4.20, 4 Mn 4.39, 4 Sr 4.39
Mn 0.5000 0.5000 0.0000  4 Sc 2.19
Mn 0.2500 0.7500 0.5000  4 Sc 2.19

First-principles (PBE) data for Ce5Al3Cd3 after structural relaxation, as listed in Alexandria.

* crystal system: hexagonal
* formation energy from the elements: 0.083 eV/atom
* SG: P-62m
* N(E_F): 26.97 states/eV per cell

Lattice parameters (Å, degrees): 3.0260 10.1821 10.1821 120.00 90.00 90.00
With the nearest neighbours (Å) after each atom.
Sites, in units of the cell vectors:
Ce 0.5000 0.6667 0.3333  5 Ce 3.03-3.33
Ce 0.5000 0.3333 0.6667  5 Ce 3.03-3.33
Ce 0.5000 0.3463 0.0000  4 Ce 3.03-3.33, 2 Al 3.07, 2 Cd 3.24
Ce 0.5000 0.6537 0.6537  4 Ce 3.03-3.33, 2 Al 3.07, 2 Cd 3.24
Ce 0.5000 0.0000 0.3463  4 Ce 3.03-3.33, 2 Al 3.07, 2 Cd 3.24
Al 0.5000 0.8539 0.0000  2 Al 2.58, 2 Cd 2.75
Al 0.5000 0.1461 0.1461  2 Al 2.58, 2 Cd 2.75
Al 0.5000 0.0000 0.8539  2 Al 2.58, 2 Cd 2.75
Cd 0.0000 0.6282 0.0000  2 Al 2.75, 2 Cd 3.03
Cd 0.0000 0.0000 0.6282  2 Al 2.75, 2 Cd 3.03
Cd 0.0000 0.3718 0.3718  2 Al 2.75, 2 Cd 3.03

First-principles (PBE) data for LiNd6Al after structural relaxation, as listed in Alexandria.

* crystal system: monoclinic
* formation energy from the elements: -0.070 eV/atom
* SG: C2/m
* N(E_F): 8.83 states/eV per cell

Lattice parameters (Å, degrees): 5.2355 5.2355 9.7410 74.41 74.46 90.00
With the nearest neighbours (Å) after each atom.
Sites, in units of the cell vectors:
Li 0.0000 0.0000 0.0000  8 Nd 3.25
Nd 0.7482 0.7485 0.5028  12 Nd 3.66-3.71
Nd 0.6067 0.1070 0.7861  2 Li 3.25, 2 Al 3.25
Nd 0.1068 0.6069 0.7861  2 Al 3.25, 2 Li 3.25
Nd 0.3933 0.8930 0.2139  2 Li 3.25, 2 Al 3.25
Nd 0.2518 0.2515 0.4972  12 Nd 3.66-3.71
Nd 0.8932 0.3931 0.2139  2 Al 3.25, 2 Li 3.25
Al 0.5000 0.5000 0.0000  8 Nd 3.25

First-principles (PBE) data for KY2Al after structural relaxation, as listed in Alexandria.

* crystal system: tetragonal
* formation energy from the elements: 0.796 eV/atom
* SG: I4_1/amd
* N(E_F): 5.95 states/eV per cell

Lattice parameters (Å, degrees): 6.4303 6.4303 10.8165 72.71 72.71 90.00
With the nearest neighbours (Å) after each atom.
Sites, in units of the cell vectors:
Y 0.3744 0.1250 0.2500  2 Al 2.93, 2 Y 3.22
Y 0.3756 0.6250 0.2500  2 Al 2.93, 2 Y 3.22
Y 0.3750 0.6256 0.7500  2 Al 2.93, 2 Y 3.22
Y 0.8750 0.6244 0.7500  2 Al 2.93, 2 Y 3.22
K 0.0000 0.0000 0.0000  8 Y 4.35-4.36, 4 Al 4.55
K 0.7500 0.2500 0.5000  8 Y 4.35-4.36, 4 Al 4.55
Al 0.5000 0.5000 0.0000  4 Y 2.93
Al 0.2500 0.7500 0.5000  4 Y 2.93

First-principles (PBE) data for SiPtSe2 after structural relaxation, as listed in Alexandria.

* crystal system: orthorhombic
* ΔE_f (raw): 3.94 kJ/mol of atoms
* SG: Imm2
* N(E_F): 1.85 states/eV per cell

Lattice parameters (Å, degrees): 7.8788 7.8788 7.8788 155.45 154.07 36.01
*/
**Completed**
First-principles (PBE) data for MgZrTc2 after structural relaxation, as listed in Alexandria.

* crystal system: monoclinic
* formation energy from the elements: 0.103 eV/atom
* SG: P2/m
* N(E_F): 3.27 states/eV per cell

Lattice parameters (Å, degrees): 4.4653 2.7790 5.5397 81.18 90.00 90.00
With the nearest neighbours (Å) after each atom.
Sites, in units of the cell vectors:
Mg 0.5000 0.7500 0.7500  4 Tc 2.76, 2 Mg 2.78, 2 Zr 2.90
Tc 0.0000 0.0346 0.9850  3 Tc 2.69-2.78, 2 Mg 2.76, 2 Zr 2.79
Tc 0.0000 0.4654 0.5150  3 Tc 2.69-2.78, 2 Mg 2.76, 2 Zr 2.79
Zr 0.5000 0.2500 0.2500  2 Zr 2.78, 4 Tc 2.79, 2 Mg 2.90

First-principles (PBE) data for SrSc2Mn after structural relaxation, as listed in Alexandria.

* crystal system: cubic
* formation energy from the elements: 0.597 eV/atom
* SG: Fd-3m
* N(E_F): 6.09 states/eV per cell

Lattice parameters (Å, degrees): 7.1626 7.1626 7.1668 60.02 60.02 90.00
With the nearest neighbours (Å) after each atom.
Sites, in units of the cell vectors:
Sc 0.3750 0.1250 0.2500  2 Mn 2.19
Sc 0.3750 0.6250 0.2500  2 Mn 2.19
Sc 0.3750 0.6250 0.7500  2 Mn 2.19
Sc 0.8750 0.6250 0.7500  2 Mn 2.19
Sr 0.0000 0.0000 0.0000  12 Sc 4.20, 4 Mn 4.39, 4 Sr 4.39
Sr 0.7500 0.2500 0.5000  12 Sc 4.20, 4 Mn 4.39, 4 Sr 4.39
Mn 0.5000 0.5000 0.0000  4 Sc 2.19
Mn 0.2500 0.7500 0.5000  4 Sc 2.19

First-principles (PBE) data for Ce5Al3Cd3 after structural relaxation, as listed in Alexandria.

* crystal system: hexagonal
* formation energy from the elements: 0.083 eV/atom
* SG: P-62m
* N(E_F): 26.97 states/eV per cell

Lattice parameters (Å, degrees): 3.0260 10.1821 10.1821 120.00 90.00 90.00
With the nearest neighbours (Å) after each atom.
Sites, in units of the cell vectors:
Ce 0.5000 0.6667 0.3333  5 Ce 3.03-3.33
Ce 0.5000 0.3333 0.6667  5 Ce 3.03-3.33
Ce 0.5000 0.3463 0.0000  4 Ce 3.03-3.33, 2 Al 3.07, 2 Cd 3.24
Ce 0.5000 0.6537 0.6537  4 Ce 3.03-3.33, 2 Al 3.07, 2 Cd 3.24
Ce 0.5000 0.0000 0.3463  4 Ce 3.03-3.33, 2 Al 3.07, 2 Cd 3.24
Al 0.5000 0.8539 0.0000  2 Al 2.58, 2 Cd 2.75
Al 0.5000 0.1461 0.1461  2 Al 2.58, 2 Cd 2.75
Al 0.5000 0.0000 0.8539  2 Al 2.58, 2 Cd 2.75
Cd 0.0000 0.6282 0.0000  2 Al 2.75, 2 Cd 3.03
Cd 0.0000 0.0000 0.6282  2 Al 2.75, 2 Cd 3.03
Cd 0.0000 0.3718 0.3718  2 Al 2.75, 2 Cd 3.03

First-principles (PBE) data for LiNd6Al after structural relaxation, as listed in Alexandria.

* crystal system: monoclinic
* formation energy from the elements: -0.070 eV/atom
* SG: C2/m
* N(E_F): 8.83 states/eV per cell

Lattice parameters (Å, degrees): 5.2355 5.2355 9.7410 74.41 74.46 90.00
With the nearest neighbours (Å) after each atom.
Sites, in units of the cell vectors:
Li 0.0000 0.0000 0.0000  8 Nd 3.25
Nd 0.7482 0.7485 0.5028  12 Nd 3.66-3.71
Nd 0.6067 0.1070 0.7861  2 Li 3.25, 2 Al 3.25
Nd 0.1068 0.6069 0.7861  2 Al 3.25, 2 Li 3.25
Nd 0.3933 0.8930 0.2139  2 Li 3.25, 2 Al 3.25
Nd 0.2518 0.2515 0.4972  12 Nd 3.66-3.71
Nd 0.8932 0.3931 0.2139  2 Al 3.25, 2 Li 3.25
Al 0.5000 0.5000 0.0000  8 Nd 3.25

First-principles (PBE) data for KY2Al after structural relaxation, as listed in Alexandria.

* crystal system: tetragonal
* formation energy from the elements: 0.796 eV/atom
* SG: I4_1/amd
* N(E_F): 5.95 states/eV per cell

Lattice parameters (Å, degrees): 6.4303 6.4303 10.8165 72.71 72.71 90.00
With the nearest neighbours (Å) after each atom.
Sites, in units of the cell vectors:
Y 0.3744 0.1250 0.2500  2 Al 2.93, 2 Y 3.22
Y 0.3756 0.6250 0.2500  2 Al 2.93, 2 Y 3.22
Y 0.3750 0.6256 0.7500  2 Al 2.93, 2 Y 3.22
Y 0.8750 0.6244 0.7500  2 Al 2.93, 2 Y 3.22
K 0.0000 0.0000 0.0000  8 Y 4.35-4.36, 4 Al 4.55
K 0.7500 0.2500 0.5000  8 Y 4.35-4.36, 4 Al 4.55
Al 0.5000 0.5000 0.0000  4 Y 2.93
Al 0.2500 0.7500 0.5000  4 Y 2.93

First-principles (PBE) data for SiPtSe2 after structural relaxation, as listed in Alexandria.

* crystal system: orthorhombic
* ΔE_f (raw): 3.94 kJ/mol of atoms
* SG: Imm2
* N(E_F): 1.85 states/eV per cell

Lattice parameters (Å, degrees): 7.8788 7.8788 7.8788 155.45 154.07 36.01